Entry 1:
Structure and computed powder diffractogram of Tm6AgSb3 (a GGA-PBE-relaxed structure; Cu Kα (weighted mean of Kα1 and Kα2)).
No peak broadening, texture or thermal motion is included.

Structure:
Cell: 11.5456 11.1823 8.2661 Å, 90.00 90.00 90.00°
Space group Cmcm (No. 63)
Inequivalent atoms, fractional coordinates:
Tm 0.0000 0.1640 0.0041 x8
Tm 0.1598 0.5000 0.0000 x8
Tm 0.2467 0.2510 0.2500 x8
Ag 0.0000 0.3610 0.2500 x4
Sb 0.0000 0.3652 0.7500 x4
Sb 0.1431 0.0008 0.7500 x8

The 8 most intense peaks (2θ from 15° to 90°), in order of rising 2θ:
- 31.04°, 2.881 Å, intensity 53, (2 2 2)
- 32.79°, 2.731 Å, intensity 100, (3 1 2)
- 33.29°, 2.692 Å, intensity 93, (1 3 2)
- 34.98°, 2.565 Å, intensity 50, (4 2 0)
- 35.68°, 2.516 Å, intensity 46, (2 4 0)
- 43.81°, 2.067 Å, intensity 32, (0 0 4)
- 57.25°, 1.609 Å, intensity 24, (4 2 4)
- 57.73°, 1.597 Å, intensity 23, (2 4 4)

---

Entry 2:
Structure and computed powder diffractogram of Tm2AgSb3 (a GGA-PBE-relaxed structure; Cu Kα (weighted mean of Kα1 and Kα2)).
No peak broadening, texture or thermal motion is included.

Structure:
Cell: 8.5958 8.5958 16.4020 Å, 90.00 90.00 90.00°
Space group P4/mmm (No. 123)
Inequivalent atoms, fractional coordinates:
Tm 0.0000 0.0000 0.1715 x2
Ag 0.0000 0.0000 0.5000 x1
Sb 0.0000 0.0000 0.0000 x1
Sb 0.0000 0.0000 0.3411 x2

The 8 most intense peaks (2θ from 15° to 90°), in order of rising 2θ:
- 20.67°, 4.298 Å, intensity 66, (2 0 0)
- 23.14°, 3.844 Å, intensity 100, (2 1 0)
- 32.95°, 2.718 Å, intensity 41, (3 1 0)
- 34.43°, 2.605 Å, intensity 36, (1 0 6)
- 36.02°, 2.493 Å, intensity 33, (1 1 6)
- 37.73°, 2.384 Å, intensity 28, (3 2 0)
- 40.49°, 2.228 Å, intensity 45, (2 1 6)
- 47.15°, 1.928 Å, intensity 30, (3 1 6)

---

Entry 3:
Structure and computed powder diffractogram of Tm4Ag5Sb7 (a GGA-PBE-relaxed structure; Cu Kα (weighted mean of Kα1 and Kα2)).
No peak broadening, texture or thermal motion is included.

Structure:
Cell: 6.0012 6.0012 21.1172 Å, 90.00 90.00 90.00°
Space group I-42m (No. 121)
Inequivalent atoms, fractional coordinates:
Tm 0.2401 0.2401 0.3823 x8
Ag 0.0000 0.0000 0.0000 x2
Ag 0.0000 0.0000 0.2531 x4
Ag 0.0000 0.5000 0.2500 x4
Sb 0.0000 0.0000 0.5000 x2
Sb 0.0000 0.5000 0.0000 x4
Sb 0.2405 0.2405 0.1548 x8

The 8 most intense peaks (2θ from 15° to 90°), in order of rising 2θ:
- 26.96°, 3.307 Å, intensity 10, (1 1 4)
- 33.96°, 2.640 Å, intensity 17, (0 0 8)
- 34.38°, 2.609 Å, intensity 100, (2 0 4)
- 40.24°, 2.241 Å, intensity 9, (1 1 8)
- 42.61°, 2.122 Å, intensity 31, (2 2 0)
- 55.57°, 1.654 Å, intensity 16, (2 2 8)
- 61.84°, 1.500 Å, intensity 10, (4 0 0)
- 72.71°, 1.301 Å, intensity 21, (4 2 4)

---

Entry 4:
Structure and computed powder diffractogram of Tm7Ag2Sb2 (a GGA-PBE-relaxed structure; Cu Kα (weighted mean of Kα1 and Kα2)).
No peak broadening, texture or thermal motion is included.

Structure:
Cell: 8.7621 10.7692 6.9493 Å, 90.00 90.00 90.00°
Space group Cmmm (No. 65)
Inequivalent atoms, fractional coordinates:
Tm 0.0000 0.0000 0.0000 x2
Tm 0.0000 0.5000 0.2448 x4
Tm 0.2500 0.2500 0.2587 x8
Ag 0.0000 0.2805 0.0000 x4
Sb 0.2008 0.0000 0.5000 x4

The 8 most intense peaks (2θ from 15° to 90°), in order of rising 2θ:
- 24.01°, 3.706 Å, intensity 41, (2 0 1)
- 26.22°, 3.398 Å, intensity 47, (2 2 0)
- 28.86°, 3.094 Å, intensity 36, (1 1 2)
- 33.28°, 2.692 Å, intensity 54, (0 4 0)
- 37.00°, 2.430 Å, intensity 100, (2 2 2)
- 37.46°, 2.401 Å, intensity 31, (1 3 2)
- 41.21°, 2.190 Å, intensity 30, (4 0 0)
- 53.96°, 1.699 Å, intensity 22, (4 4 0)

---

Entry 5:
Structure and computed powder diffractogram of ZnAg2Sb2 (a GGA-PBE-relaxed structure; Cu Kα (weighted mean of Kα1 and Kα2)).
No peak broadening, texture or thermal motion is included.

Structure:
Cell: 8.8694 8.8694 3.0215 Å, 90.00 90.00 90.00°
Space group P4/mbm (No. 127)
Inequivalent atoms, fractional coordinates:
Zn 0.0000 0.0000 0.0000 x2
Ag 0.1433 0.3567 0.5000 x4
Sb 0.1549 0.6549 0.0000 x4

Next, quote all of the lines further up without altering anything.

Entry 1:
Structure and computed powder diffractogram of Tm6AgSb3 (a GGA-PBE-relaxed structure; Cu Kα (weighted mean of Kα1 and Kα2)).
No peak broadening, texture or thermal motion is included.

Structure:
Cell: 11.5456 11.1823 8.2661 Å, 90.00 90.00 90.00°
Space group Cmcm (No. 63)
Inequivalent atoms, fractional coordinates:
Tm 0.0000 0.1640 0.0041 x8
Tm 0.1598 0.5000 0.0000 x8
Tm 0.2467 0.2510 0.2500 x8
Ag 0.0000 0.3610 0.2500 x4
Sb 0.0000 0.3652 0.7500 x4
Sb 0.1431 0.0008 0.7500 x8

The 8 most intense peaks (2θ from 15° to 90°), in order of rising 2θ:
- 31.04°, 2.881 Å, intensity 53, (2 2 2)
- 32.79°, 2.731 Å, intensity 100, (3 1 2)
- 33.29°, 2.692 Å, intensity 93, (1 3 2)
- 34.98°, 2.565 Å, intensity 50, (4 2 0)
- 35.68°, 2.516 Å, intensity 46, (2 4 0)
- 43.81°, 2.067 Å, intensity 32, (0 0 4)
- 57.25°, 1.609 Å, intensity 24, (4 2 4)
- 57.73°, 1.597 Å, intensity 23, (2 4 4)

---

Entry 2:
Structure and computed powder diffractogram of Tm2AgSb3 (a GGA-PBE-relaxed structure; Cu Kα (weighted mean of Kα1 and Kα2)).
No peak broadening, texture or thermal motion is included.

Structure:
Cell: 8.5958 8.5958 16.4020 Å, 90.00 90.00 90.00°
Space group P4/mmm (No. 123)
Inequivalent atoms, fractional coordinates:
Tm 0.0000 0.0000 0.1715 x2
Ag 0.0000 0.0000 0.5000 x1
Sb 0.0000 0.0000 0.0000 x1
Sb 0.0000 0.0000 0.3411 x2

The 8 most intense peaks (2θ from 15° to 90°), in order of rising 2θ:
- 20.67°, 4.298 Å, intensity 66, (2 0 0)
- 23.14°, 3.844 Å, intensity 100, (2 1 0)
- 32.95°, 2.718 Å, intensity 41, (3 1 0)
- 34.43°, 2.605 Å, intensity 36, (1 0 6)
- 36.02°, 2.493 Å, intensity 33, (1 1 6)
- 37.73°, 2.384 Å, intensity 28, (3 2 0)
- 40.49°, 2.228 Å, intensity 45, (2 1 6)
- 47.15°, 1.928 Å, intensity 30, (3 1 6)

---

Entry 3:
Structure and computed powder diffractogram of Tm4Ag5Sb7 (a GGA-PBE-relaxed structure; Cu Kα (weighted mean of Kα1 and Kα2)).
No peak broadening, texture or thermal motion is included.

Structure:
Cell: 6.0012 6.0012 21.1172 Å, 90.00 90.00 90.00°
Space group I-42m (No. 121)
Inequivalent atoms, fractional coordinates:
Tm 0.2401 0.2401 0.3823 x8
Ag 0.0000 0.0000 0.0000 x2
Ag 0.0000 0.0000 0.2531 x4
Ag 0.0000 0.5000 0.2500 x4
Sb 0.0000 0.0000 0.5000 x2
Sb 0.0000 0.5000 0.0000 x4
Sb 0.2405 0.2405 0.1548 x8

The 8 most intense peaks (2θ from 15° to 90°), in order of rising 2θ:
- 26.96°, 3.307 Å, intensity 10, (1 1 4)
- 33.96°, 2.640 Å, intensity 17, (0 0 8)
- 34.38°, 2.609 Å, intensity 100, (2 0 4)
- 40.24°, 2.241 Å, intensity 9, (1 1 8)
- 42.61°, 2.122 Å, intensity 31, (2 2 0)
- 55.57°, 1.654 Å, intensity 16, (2 2 8)
- 61.84°, 1.500 Å, intensity 10, (4 0 0)
- 72.71°, 1.301 Å, intensity 21, (4 2 4)

---

Entry 4:
Structure and computed powder diffractogram of Tm7Ag2Sb2 (a GGA-PBE-relaxed structure; Cu Kα (weighted mean of Kα1 and Kα2)).
No peak broadening, texture or thermal motion is included.

Structure:
Cell: 8.7621 10.7692 6.9493 Å, 90.00 90.00 90.00°
Space group Cmmm (No. 65)
Inequivalent atoms, fractional coordinates:
Tm 0.0000 0.0000 0.0000 x2
Tm 0.0000 0.5000 0.2448 x4
Tm 0.2500 0.2500 0.2587 x8
Ag 0.0000 0.2805 0.0000 x4
Sb 0.2008 0.0000 0.5000 x4

The 8 most intense peaks (2θ from 15° to 90°), in order of rising 2θ:
- 24.01°, 3.706 Å, intensity 41, (2 0 1)
- 26.22°, 3.398 Å, intensity 47, (2 2 0)
- 28.86°, 3.094 Å, intensity 36, (1 1 2)
- 33.28°, 2.692 Å, intensity 54, (0 4 0)
- 37.00°, 2.430 Å, intensity 100, (2 2 2)
- 37.46°, 2.401 Å, intensity 31, (1 3 2)
- 41.21°, 2.190 Å, intensity 30, (4 0 0)
- 53.96°, 1.699 Å, intensity 22, (4 4 0)

---

Entry 5:
Structure and computed powder diffractogram of ZnAg2Sb2 (a GGA-PBE-relaxed structure; Cu Kα (weighted mean of Kα1 and Kα2)).
No peak broadening, texture or thermal motion is included.

Structure:
Cell: 8.8694 8.8694 3.0215 Å, 90.00 90.00 90.00°
Space group P4/mbm (No. 127)
Inequivalent atoms, fractional coordinates:
Zn 0.0000 0.0000 0.0000 x2
Ag 0.1433 0.3567 0.5000 x4
Sb 0.1549 0.6549 0.0000 x4